Courting Hunters and Anglers

Courting Hunters and Anglers

I’m not sure how many strategists would agree, but I honestly don’t think there’s a more important climate demographic than sportsmen. As an outdoor writer, as well as a longtime hunter and angler, I’d like to share some thoughts on why we should engage America’s 37 million sportsmen on climate change – as well as how we should go about that task.

Let’s look at the “why” first.

It’s hard to imagine a successful global climate accord without America stepping into a leadership role and exercising its full political, economic and moral authority. Unfortunately, until we break the partisan logjam in DC and bring both political parties to the negotiating table, any kind of unified American response to climate change is little more than a fantasy. Which means that our first, second and third priorities should be getting Republicans and Democrats to work together.

I know … Fat chance.

Realistically, there are only two ways to create this kind of seismic shift. The first is to throw huge – and I mean truly astronomical – amounts of money at the issue. But since we don’t have mountains of cash lying around, we might as well wait for pigs to fly. We’re never going to compete with the fossil fuel interests on a purely financial basis.

The second option is to educate and energize key elements in the conservative base, and then have those elements put serious pressure on their elected leaders in DC. If the base shifts, conservative Senators and Congressmen will have a choice to make – either listen to their constituents or be voted out of office.

Which is where sportsmen come in. Most hunters and anglers are conservative or conservative-leaning. They’ve been helping elect conservative politicians for decades. But most sportsmen don’t vote for conservatives as a reflex action; they vote for them because they feel that conservative politicians share their values and worldview. If millions of sportsmen suddenly begin to realize that their elected officials are selling them out and putting their children and grandchildren at risk, they will demand immediate action – and dozens of climate deniers in Congress will suddenly start singing a different tune.

A quick aside: I’m convinced that if climate change had been framed as a conservative issue, the problem would have been solved decades ago. At a minimum, we would have had millions of armed citizens marching on DC and threatening to burn the whole town to the ground. And when you think about it, that’s exactly what should be happening right now. A small number of exceedingly powerful corporations are putting our entire country—not to mention our sons and daughters—at risk, and we’re standing around like we’re in the church choir, politely whispering “Excuse me …” while the great fossil fuel orators pound the pulpit and preach the gospel of coal, oil and gas.

One thing is certain. Once sportsmen realize that their hunting and fishing—and their families—are at risk from climate change, they won’t swoon and collapse onto their fainting couches. They’ll raise holy hell and bring about a seismic shift in DC. The question isn’t if this will happen. It will. The question is whether it will happen in time for us to address climate change and avoid the worst of the positive feedback loops.

And that’s why we need to bring sportsmen and other conservative groups into the climate fight as soon as possible. We need people who are going to charge up the hill into the machine guns, we need people who, when the coach says, “Run through that damn wall!”, will try to run through that wall. We need—and forgive me for pointing this out, but it’s absolutely true—people with the courage of their convictions, who aren’t worried about being polite and gracious and politically correct; we need people with a backbone. There are indeed some folks like that on the left. My personal experience is that there are a hell of a lot more on the right.

So how should you talk to hunters and anglers about climate change? Here’s my advice.

  • Be honest. Be honest to a fault. Don’t try to represent yourself as something you’re not. You only get to lose someone’s trust once. Tell the truth about who you are and why you’re reaching out, and stick to the facts. If the science doesn’t support your message, then you’d better change your message.

  • Be respectful. A lot of Americansespecially urban Americanslook down on sportsmen as hicks or rednecks or, to put it more politely, anachronisms from a simpler time. Here’s a news flash. Sportsmen, like any other group, run the gamut, from dumb as a box of rocks to sheer genius, and anything that smacks of “I’m better than you because I don’t kill animals” is not only incredibly counterproductive, it’s completely unwarranted. If you’re always respectful, you’ll take all that potential negativity out of play.

  • Be grateful. Sportsmen are responsible for most of the great American conservation stories of the last hundred years. Their license fees and tax dollars have paid to restore fish and wildlife habitat all over our country. Don’t fall into the trap of blaming hunters and anglers for our environmental problems. On balance, they’ve done more than any other group to protect America’s outdoors. If you give them the respect and credit they’re due, they’ll be far more likely to listen to what you have to say.

  • Ask. Ask what hunters and anglers think, ask how they feel, ask why they are, or aren’t, worried about climate change. Then take the time to listen to what they have to say. It’s amazing how people react differently when you stop talking and actually listen.

  • Remember whom you’re talking to. In The Art of War, Sun Tzu stressed the importance of knowing your enemy. But he also made the case that it’s just as important to know yourself, your allies and your potential allies. Study up on the cognitive sciences and learn to frame your message in a way that allows sportsmen to hear what you’re saying. If you’re using green or environmental or progressive frames on most sportsmen, you’re not only wasting your time, you’re making the whole situation worse. Know your audience. Use conservative frames for conservative sportsmen.

  • When it’s appropriate, share Joe Romm’s point regarding libertarians and government intrusion. As Joe pointed out, “If you hate government intrusion into people’s lives, you’d better stop catastrophic global warming, because nothing drives a country more towards activist government than scarcity and deprivation.” Dealing with climate change now will preclude government intrusion down the road. That’s a message that can resonate with certain sportsmen.

  • Ask for help when you need it. Bring in actual hunters and anglers who can help you frame and spread your message. Half of persuasion is the message and the other half is the messenger. Look in the mirror, and be honest. If you’re not the right person to make your case, then step back from the bullhorn and take the time to bring in someone else with the right skills and background. It can make a huge difference.

  • Stick to climate. It’s not your job to convince conservative sportsmen of the error of their ways, or to nudge them toward progressive values. It doesn’t matter whom they voted for in the last election or what other political or social positions they embrace. They have a right to their views, and conservative-bashing or anti-conservative rhetoric will almost always be counterproductive.

  • Focus on the things you have in common, not the areas that divide you. In my experience, most sportsmen treasure their families and our American landscapes. Those shared values are two excellent places to start building a connection.

At the end of the day, people trying to reach hunters and anglers on climate change have one huge advantage. We have reality on our side. Sportsmen already see the changes taking place on the landscape. Our job is to help them make the connection between what they’re seeing and what our scientists are sayingand then make them aware of the threat to their families, their sporting heritage and their outdoor traditions. If we’re successful, America’s 37 million hunters and anglers can change the climate and energy paradigm in DC. But keep in mind that reaching out to sportsmen isn’t preaching to the choir. We need to be smart, honest and effective if we’re going to educate hunters and anglers and turn them into climate activists.

-- Between two parts of the piece: records of crystals --
A plane-wave DFT calculation with PBE-GGA was carried out for crystalline MnCo5N4 at its relaxed geometry.

abc: 6.8315 5.9135 4.5275
angles: 90.00 90.00 90.00
Last column: nearest neighbours and their distance in Å.
Fractional coordinates of all 20 atoms:
Co: 0.7500 0.7500 0.7599  4 N 1.89-2.06
Mn: 0.7500 0.2500 0.6825  4 N 1.85-1.91
Co: 0.0645 0.0267 0.7466  3 N 1.84-1.95
N: 0.9846 0.2500 0.4548  5 Co 1.90-2.06, 1 Mn 1.91
N: 0.2500 0.9727 0.0318  3 Co 1.84-1.89, 1 Mn 1.85
N: 0.0154 0.7500 0.5452  5 Co 1.90-2.06, 1 Mn 1.91
Co: 0.5645 0.5267 0.2534  3 N 1.84-1.95
N: 0.4846 0.7500 0.5452  5 Co 1.90-2.06, 1 Mn 1.91
N: 0.5154 0.2500 0.4548  5 Co 1.90-2.06, 1 Mn 1.91
Co: 0.4355 0.4733 0.7466  3 N 1.84-1.95
Co: 0.9355 0.5267 0.2534  3 N 1.84-1.95
Co: 0.9355 0.9733 0.2534  3 N 1.84-1.95
Co: 0.4355 0.0267 0.7466  3 N 1.84-1.95
Co: 0.5645 0.9733 0.2534  3 N 1.84-1.95
N: 0.7500 0.0273 0.9682  3 Co 1.84-1.89, 1 Mn 1.85
Co: 0.0645 0.4733 0.7466  3 N 1.84-1.95
N: 0.7500 0.4727 0.9682  3 Co 1.84-1.89, 1 Mn 1.85
Co: 0.2500 0.2500 0.2401  4 N 1.89-2.06
N: 0.2500 0.5273 0.0318  3 Co 1.84-1.89, 1 Mn 1.85
Mn: 0.2500 0.7500 0.3175  4 N 1.85-1.91

Results
Its space group is Pmmn. The calculated formation energy is -0.067 eV/atom. The value obtained for the energy with MP2020 corrections is -0.2893 hartree per atom. Its size of the total moment is 0.0069 μB per atom.

A plane-wave DFT calculation with PBE-GGA was carried out for crystalline MnCo2N2 at its relaxed geometry.

abc: 2.8779 2.8779 6.4526
angles: 90.01 89.99 119.99
Last column: nearest neighbours and their distance in Å.
Fractional coordinates of all 5 atoms:
N: 0.3333 0.6667 0.3046  3 Co 1.89, 3 Mn 2.09
Co: 0.6667 0.3333 0.1644  3 N 1.89
Co: 0.3333 0.6667 0.8356  3 N 1.89
Mn: 0.0000 0.0000 0.5000  6 N 2.09
N: 0.6667 0.3333 0.6954  3 Co 1.89, 3 Mn 2.09

Results
Its space group is P-3m1. The calculated formation energy is -0.057 eV/atom. The value obtained for the energy with MP2020 corrections is -0.2965 hartree per atom. Its size of the total moment is 0.7461 μB per atom.

A plane-wave DFT calculation with PBE-GGA was carried out for crystalline MnCo2N2 at its relaxed geometry.

abc: 2.8117 2.8422 11.5248
angles: 90.00 90.00 90.00
Last column: nearest neighbours and their distance in Å.
Fractional coordinates of all 10 atoms:
N: 0.7500 0.7538 0.5899  1 Mn 1.86, 5 Co 1.93-2.07
Mn: 0.7500 0.8328 0.7500  2 N 1.86
Co: 0.7500 0.7122 0.4116  5 N 1.93-2.07
Co: 0.2500 0.2878 0.9116  5 N 1.93-2.07
Co: 0.2500 0.2878 0.5884  5 N 1.93-2.07
N: 0.2500 0.2462 0.4101  1 Mn 1.86, 5 Co 1.93-2.07
Co: 0.7500 0.7122 0.0884  5 N 1.93-2.07
Mn: 0.2500 0.1672 0.2500  2 N 1.86
N: 0.7500 0.7538 0.9101  1 Mn 1.86, 5 Co 1.93-2.07
N: 0.2500 0.2462 0.0899  1 Mn 1.86, 5 Co 1.93-2.07

Results
Its space group is Pmmn. The calculated formation energy is 0.041 eV/atom. The value obtained for the energy with MP2020 corrections is -0.2929 hartree per atom. Its size of the total moment is 0.5366 μB per atom.

About the author: Todd Tanner is a lifelong hunter and angler, a former fly fishing and big game guide, and a nationally recognized outdoor writer. He is also the founder and chair of Conservation Hawks, a nonprofit group focused on educating America’s hunters and anglers about climate change. His personal website is Casting West.

Photo via (cc) Flickr user Theophilos
